COVID-19 Halts The Supreme Court – Pending Environmental Case to be Heard in the Fall
Mon Apr 6th, On Environmental Law, by Kimberly Bick
The U.S. Supreme Court postponed its April 20th argument session, the last session of the year, as a result of COVID-19. The last time the Supreme Court closed its doors to the public due to an epidemic was during the Spanish flu outbreak of 1918, when the court postponed oral arguments by a few weeks. This time, the Court found a way to continue functioning as best it can, like the rest of the world, remotely.
There were 20 cases waiting to be heard. The Court issued a press release on April 13, 2020, indicating it will hear 10 of those cases in the first two weeks of May and the rest of the cases in early fall.
There is one environmental and natural resources case area that had been set for hearing in April and now will be heard in the fall:
- Texas v. New Mexico: Whether (1) the River Master erred in calculating New Mexico’s delivery credit for evaporation losses under the Pecos River Compact; (2) the River Master appropriately entertained New Mexico’s request for delivery credit for evaporation losses under the Compact.
The Supreme Court has jurisdiction over interstate water disputes. The case involves water rights of the Rio Grande River among the states of Colorado, New Mexico, and Texas. The Rio Grande originates in Colorado, flows south into New Mexico, and flows into Texas near El Paso. The Pecos River begins in north-central New Mexico and flows in a southerly direction into Texas until it joins the Rio Grande River. The Pecos River, as a tributary to the Rio Grande, has its own water apportionment Compact between New Mexico and Texas (the Pecos River Compact, Act of June 9, 1949).
In 1974, Texas filed an original action in this Court, alleging that New Mexico has breached its obligations under Art. III(a) of the Compact. After appointing a Special Master, the Court ap- proved the Special Master’s reports specifying the methodology to be used in determining New Mexico’s obligation under the Compact. The Court appointed a River Master to make the required calculations because of the “degree of judgment” involved. The current dispute arose as a result of a tropical storm in September 2014 that caused heavy rainfall in the Pecos River basin, causing the reservoirs in Texas to become dangerously full. To avoid catastrophic overflowing of the reservoir, Texas asked New Mexico to temporarily store “flood flows” that constitute Texas’s share of water flowing from the Pecos River. The dispute involves the accounting for evaporation from the flood flows.
In addition, the following (non-environmental) cases will be heard remotely by telephone conference on May 4, 5, 6, 11, 12 and 13 in a limited number of previously postponed cases, including the following (dates have not yet been assigned):
- 18-9526,McGirt v. Oklahoma
........
Record 1
{"formula": "Tb5In2Co2", "functional": "PBE", "state": "relaxed", "lattice_angstrom": [[1.675, 7.136, -0.569], [-2.438, 1.119, 6.849], [8.453, 2.017, 2.679]], "species": ["Tb", "Tb", "Tb", "Tb", "Tb", "Tb", "Tb", "Tb", "Tb", "Tb", "In", "In", "In", "In", "Co", "Co", "Co", "Co"], "frac_coords": [[0.000, 0.000, 0.000], [0.500, 0.500, 0.000], [0.432, 0.180, 0.767], [0.801, 0.820, 0.767], [0.301, 0.680, 0.767], [0.932, 0.320, 0.767], [0.568, 0.820, 0.233], [0.199, 0.180, 0.233], [0.699, 0.320, 0.233], [0.068, 0.680, 0.233], [0.227, 0.000, 0.545], [0.727, 0.500, 0.545], [0.773, 0.000, 0.455], [0.273, 0.500, 0.455], [0.111, 0.391, 0.000], [0.889, 0.609, 0.000], [0.389, 0.891, 0.000], [0.611, 0.109, 0.000]], "final_energy_ev_per_atom": -5.02, "total_magnetization_mub_per_atom": 0.00, "volume_a3_per_fu": 225}

Record 2
{"formula": "Y2TiAuO", "functional": "PBE", "state": "relaxed", "lattice_angstrom": [[-1.878, -3.340, 3.024], [4.453, -0.877, 1.797], [-0.566, 2.845, 2.791]], "species": ["Y", "Y", "Au", "O", "Ti"], "frac_coords": [[0.000, 0.500, 0.000], [0.500, 0.000, 0.000], [0.500, 0.500, 0.500], [0.000, 0.000, 0.000], [0.000, 0.000, 0.500]], "final_energy_ev_per_atom": -7.21, "total_magnetization_mub_per_atom": 0.39, "volume_a3_per_fu": 96, "raw_formation_energy_kj_per_mol_atoms": -134.5}

Record 3
{"formula": "Sr2MnSe", "functional": "PBE", "state": "relaxed", "lattice_angstrom": [[3.782, 0.209, 0.000], [-0.194, 3.783, 0.000], [0.000, 0.000, 8.985]], "species": ["Mn", "Se", "Sr", "Sr"], "frac_coords": [[0.000, 0.000, 0.557], [0.500, 0.500, 0.706], [0.000, 0.000, 0.915], [0.500, 0.500, 0.322]], "final_energy_ev_per_atom": -4.26, "total_magnetization_mub_per_atom": 1.14, "volume_a3_per_fu": 129, "raw_formation_energy_kj_per_mol_atoms": -24.6}

Record 4
{"formula": "Tb2NdSmTm2", "functional": "PBE", "state": "relaxed", "lattice_angstrom": [[3.401, 0.000, 0.000], [0.000, 6.523, 0.000], [0.000, 0.000, 17.917]], "species": ["Tb", "Tb", "Tb", "Tb", "Nd", "Nd", "Sm", "Sm", "Tm", "Tm", "Tm", "Tm"], "frac_coords": [[0.500, 0.278, 0.312], [0.000, 0.778, 0.188], [0.500, 0.722, 0.688], [0.000, 0.222, 0.812], [0.000, 0.000, 0.000], [0.500, 0.500, 0.500], [0.500, 0.500, 0.000], [0.000, 0.000, 0.500], [0.500, 0.779, 0.352], [0.500, 0.221, 0.648], [0.000, 0.721, 0.852], [0.000, 0.279, 0.148]], "final_energy_ev_per_atom": -4.34, "total_magnetization_mub_per_atom": 0.00, "volume_a3_per_fu": 199}

Record 5
{"formula": "DyLu2Au", "functional": "PBE", "state": "relaxed", "lattice_angstrom": [[-1.371, 4.458, -0.175], [-1.867, -0.408, 4.234], [4.029, 1.314, 1.904]], "species": ["Lu", "Lu", "Au", "Dy"], "frac_coords": [[0.000, 0.000, 0.500], [0.000, 0.500, 0.000], [0.500, 0.500, 0.500], [0.500, 0.000, 0.000]], "de_polymorph_mev_per_atom": 154, "final_energy_ev_per_atom": -4.49, "total_magnetization_mub_per_atom": 0.00, "volume_a3_per_fu": 101}
........
End of the data records
- 19-46, United States Patent and Trademark Office v. B.V.
19-177,Agency for International Development v. Alliance for Open Society International, Inc. - 19-267,Our Lady of Guadalupe School v. Morrissey-Berru, and 19-348, James School v. Biel
- 19-431,Little Sisters of the Poor Saints Peter and Paul Home v. Pennsylvania, and 19-454, Trump v. Pennsylvania
- 19-465,Chiafalo v. Washington
- 19-518,Colorado Department of State v. Baca
- 19-631,Barr v. American Association of Political Consultants, Inc.
- 19-635,Trump v. Vance
- 19-715,Trump v. Mazars USA, LLP, and 19-760, Trump v. Deutsche Bank AG
Included among this list are two Trump challenges to US House subpoenas for financial documents and a challenge arising from a New York grand jury’s investigation tied to Trump tax records. Presumably, the Court is prioritizing these cases to be heard and decided to head off any impacts to the upcoming election.
The Justices and counsel will all participate remotely in the May hearings. And, for the first time ever, the Court will provide a live audio feed of these arguments to news media. The Court began audio recording oral arguments in 1955. In the past, audio files would be released to the public at the end of each argument week; although, written transcripts of oral arguments are available on the court’s website on the same day as the arguments. This will be the first time that the audio file will be provided to the media via a live feed. Cameras, however, are still not allowed in the Court. It is possible the Court will continue the practice of live audio feeds during oral arguments after the Court returns to business as usual. Then again, many of the justices have expressed strong opinions opposing live audio feeds, arguing the public could misinterpret questions asked by the justices.
These are the pending environmental and natural resources cases that have been argued, but the opinions have not yet been published:
- Atlantic Richfield Co. v. Christian, et al., argued in front of the court on December3, 2019, is a case in which the Court: Whether (1) a common-law claim for restoration seeking cleanup remedies that conflict with remedies the Environmental Protection Agency (EPA) ordered is a jurisdictionally barred “challenge” to the EPA’s cleanup under 42 U.S.C. § 9613 of the Comprehensive Environmental Response, Compensation and Liability Act (CERCLA); (2) a landowner at a Superfund site is a “potentially responsible party” that must seek EPA approval under 42 U.S.C. § 9622(e)(6) of CERCLA before engaging in remedial action, even if the EPA has never ordered the landowner to pay for a cleanup; and (3) CERCLA preempts state common-law claims for restoration that seek cleanup remedies that conflict with EPA-ordered remedies.
- County of Maui, Hawaii v. Hawaii Wildlife Fund, argued November 12, 2019: Whether the Clean Water Act requires a permit when pollutants originate from a point source but are conveyed to navigable waters by a nonpoint source, such as groundwater.
- United States Forest Service v. Cowpasture River Preservation Association, argued February 24, 2020: Whether the U.S. Forest Service has the authority to grant rights-of-way under the Mineral Leasing Act through lands traversed by the Appalachian Trail within national forests.
- Trump v. NAACP, McAleenan v. Vidal, and Department of Homeland Security v. Regents of the University of California, consolidated cases: Whether lower courts have been right to find that the Trump administration’s rescission of the Obama-era Deferred Action for Childhood Arrivals program violates the Administrative Procedure Act because it did not go through a public notice and comment process. While not an environmental case, the Trump administration’s defense of its decision to rescind the Deferred Action for Childhood Arrivals program could have broader administrative law impacts that would affect environmental matters because environmental law involves regulations and rulemaking, the topic at the heart of the DACA case.
The justices continue to hold conferences to discuss and decide the outcomes of argued cases and petitions for certiorari. The justices were allowed to participate remotely by telephone. Non-environmental cases heard already during this 2019-2020 term and awaiting resolution include: LGBTQ worker discrimination, Louisiana abortion regulations, and the Trump administration’s plan to overturn the DACA program.
Delays to cases where certiorari has not yet been granted are expected due to impacts to the normal day-to-day operations, which the Court acknowledges will continue “until further notice.” The Supreme Court Covid-19 Order, issued March 19, 2020, ruled:
- The deadline to file any petition for a writ of certiorari is extended to 150 days from the date of the lower court judgment, order denying discretionary review, or order denying a timely petition for rehearing.
- Any motions for extensions of time pursuant to Rule 30.4 will ordinarily be granted by the Clerk as a matter of course if the grounds for the application are difficulties relating to COVID-19 and if the length of the extension requested is reasonable under the circumstances.
- The Clerk will entertain motions to delay distribution of a petition for writ of certiorari where the grounds for the motion are that the petitioner needs additional time to file a reply due to difficulties relating to COVID-19.
A relaxed structure of Cu2PS, computed with PBE.

As for the density: 4.51 Mg/m³. The total energy comes out at -4.38 eV/atom. Its space group is No. 122. For the uncorrected formation energy, the calculation gives 0.048 eV per atom.

```
Cu2PS
1.0
-3.7928 3.8488 0.6976
-2.7783 -3.3349 3.2932
-0.9005 1.9347 5.7067
P S Cu
2 2 4
Direct
0.5000 0.5000 0.0000 P
0.2500 0.7500 0.5000 P
0.0000 0.0000 0.0000 S
0.7500 0.2500 0.5000 S
0.6239 0.1250 0.2500 Cu
0.1261 0.6250 0.2500 Cu
0.3750 0.3761 0.7500 Cu
0.8750 0.8739 0.7500 Cu
```
So much for the records of crystals =
However, these modifications to the Court’s Rules and practices do not apply to cases in which certiorari has been granted or a direct appeal or original action has been set for argument. The Supreme Court Building is closed to the public, but open for official business, with most
Court personnel teleworking.